Given.
/*
This entry pairs a crystal structure of Ba2Mg4BiPb3 with its calculated PXRD pattern. Radiation: Cu Kα (weighted mean of Kα1 and Kα2). Structure: a DFT-relaxed cell (PBE, Alexandria).

Top 6 peaks for 2θ = 15–90°, low angle first:
h k l  2theta  I (rel.)
0 0 3  21.9  33
1 0 2  22.8  37
1 1 1  25.8  77
1 0 3  28.1  51
1 1 2  28.8  100
2 0 0  35.3  69

Cell and atoms:
```
Ba2Mg4BiPb3
1.0
5.090 0.000 0.000
0.000 5.090 0.000
0.000 0.000 12.199
Ba Mg Bi Pb
2 4 1 3
Direct
0.000 0.500 0.249
0.500 0.000 0.751
0.000 0.000 0.500
0.000 0.500 0.867
*/
Request.
Please set down only the lines further up with the word "weighted" in them.
Outcome.
This entry pairs a crystal structure of Ba2Mg4BiPb3 with its calculated PXRD pattern. Radiation: Cu Kα (weighted mean of Kα1 and Kα2). Structure: a DFT-relaxed cell (PBE, Alexandria).